GOVERNMENT OF TELANGANA ABSTRACT Public Services School Education Department Filling up of five thousand and eighty-nine 5089 Telangana Teacher Recruitment 2024 vacant teacher posts in various categories under the control of Director of School Education, Telangana, Hyderabad by way of Direct Recruitment through Departmental Selection Committee Orders Issued. G.O.Ms.No.96 FINANCE (HRM.VII) DEPARTMENT Dated: 25th, August, 2023 Read the following:-
Revamping Direct Recruitment Vacancies in Telangana’s School Education System
In a strategic move aimed at bolstering the education sector, the Government of Telangana has meticulously reassessed the status of Direct Recruitment vacancies across various categories under the purview of the Director of School Education, Telangana, Hyderabad. This pivotal step seeks to invigorate the teaching workforce and ensure the seamless flow of education.
Evaluating Needs and Granting Approval
Following a comprehensive evaluation of the proposals presented by the School Education Department, the Government has not only gauged the actual manpower requirement in alignment with the department’s activities and exigencies but has also taken into account the financial implications in the broader spectrum. As a resounding affirmation of their commitment, the Government has granted explicit consent to fill five thousand and eighty-nine (5,089) vacant teaching positions across diverse categories under the jurisdiction of the Director of School Education, Telangana, Hyderabad.
G.O.Ms.No.96, Finance (HRM.VII) Department, dated: 25.08.2023)
S.No | Name of the post | Number of posts |
Here the text breaks off for materials data.
********
(A)
PbI2NCl (PBE-GGA, optimized geometry); D(E_F) = 4.133 states/eV per cell
1.0
6.7577 0.0000 0.0000
0.0000 6.7577 0.0000
0.0000 0.0000 3.4626
Pb I N Cl
1 2 1 1
direct
0.0000 0.0000 0.0000
0.0000 0.5000 0.5000
0.5000 0.0000 0.5000
0.5000 0.5000 0.0000
0.5000 0.5000 0.5000

***

(B)
PbI2NCl (PBE-GGA, optimized geometry); D(E_F) = 6.078 states/eV per cell
1.0
6.2105 0.0000 0.0000
0.0000 6.2105 0.0000
0.0000 0.0000 4.7245
Pb I N Cl
1 2 1 1
direct
0.0000 0.0000 0.0000
0.0000 0.5000 0.0000
0.5000 0.0000 0.0000
0.0000 0.0000 0.5000
0.5000 0.5000 0.5000

***

(B) has the most favorable energy; the next structure is 39 meV/atom above.

***

(A)
PdIN2Cl (PBE-GGA, optimized geometry); D(E_F) = 4.583 states/eV per cell
1.0
3.9301 0.0000 0.0000
0.0000 3.9301 0.0000
0.0000 0.0000 8.0981
Pd I N Cl
1 1 2 1
direct
0.0000 0.0000 0.0000
0.5000 0.5000 0.0000
0.0000 0.5000 0.5000
0.5000 0.0000 0.5000
0.5000 0.5000 0.5000

***

(B)
PdIN2Cl (PBE-GGA, optimized geometry); D(E_F) = 2.501 states/eV per cell
1.0
3.9577 0.0000 0.0000
0.0000 3.9577 0.0000
0.0000 0.0000 8.5205
Pd I N Cl
1 1 2 1
direct
0.0000 0.0000 0.0000
0.0000 0.0000 0.5000
0.0000 0.5000 0.0000
0.5000 0.0000 0.0000
0.5000 0.5000 0.5000

***

(B) has the most favorable energy; the next structure is 620 meV/atom above.

* * * * *

VASP calculation (PBE) on an optimized crystal structure of Ca2MgTc.

Unit cell a=5.330 b=5.330 c=3.521 alpha=90.00 beta=90.00 gamma=90.00
Sites, in units of the cell vectors:
Mg1 0.500 0.000 0.500
Ca1 0.000 0.000 0.000
Tc1 0.000 0.500 0.500
Ca2 0.500 0.500 0.000

Computed properties:
V, Å³ per cell: 100.1
E_form, eV/f.u.: 2.1

=====

VASP calculation (PBE) on an optimized crystal structure of CdTc2Cl.

Unit cell a=4.938 b=3.155 c=4.650 alpha=93.64 beta=90.00 gamma=90.00
Sites, in units of the cell vectors:
Cd1 0.500 0.250 0.250
Cl1 0.500 0.750 0.750
Tc1 0.000 0.921 0.034
Tc2 0.000 0.579 0.466

Computed properties:
Raw formation energy, eV/atom: 0.697
ΔE to the lowest computed polymorph, kJ per mole of atoms: 68.5
V, Å³ per cell: 72.3

=====

VASP calculation (PBE) on an optimized crystal structure of ZnTe2AuI.

Unit cell a=5.326 b=5.326 c=5.462 alpha=90.00 beta=90.00 gamma=90.00
Sites, in units of the cell vectors:
Au1 0.500 0.500 0.500
Zn1 0.000 0.000 0.000
I1 0.000 0.000 0.500
Te1 0.000 0.500 0.000
Te2 0.500 0.000 0.000

Computed properties:
Raw formation energy, eV/atom: 0.602
ΔE to the lowest computed polymorph, kJ per mole of atoms: 9.0
V, Å³ per cell: 154.9

=====

VASP calculation (PBE) on an optimized crystal structure of CuIrAu.

Unit cell a=2.785 b=2.785 c=11.570 alpha=90.00 beta=90.00 gamma=90.00
Sites, in units of the cell vectors:
Au1 0.000 0.500 0.900
Au2 0.500 0.000 0.100
Ir1 0.000 0.500 0.577
Cu1 0.000 0.500 0.265
Cu2 0.500 0.000 0.735
Ir2 0.500 0.000 0.423

Computed properties:
ΔE to the lowest computed polymorph, kJ per mole of atoms: 0.0
V, Å³ per cell: 89.8
E_form, eV/f.u.: 0.1
********
Here the text continues.
1 | School Assistant | 1739 |
2 | Secondary Grade Teacher | 2575 |
3 | Language Pandit | 611 |
4 | Physical Education Teacher | 164 |
Total: | 5,089 |
Empowering Direct Recruitment
The approved vacancies will be promptly filled through a rigorous process of Direct Recruitment facilitated by the Departmental Selection Committee. This decision underscores the Government’s dedication to ensuring a robust and efficient education system for the state.
Forthcoming Selection Process
The School Education Department will promptly issue detailed directives regarding the composition of the Departmental Selection Committee, the intricacies of the selection procedure, and other pertinent aspects connected to the recruitment process. These directives will be formulated with the explicit endorsement of the competent authority, thus ensuring transparency and adherence to protocol.
Methodical Execution of Recruitment
To streamline the direct recruitment process, the Departmental Selection Committee will undertake essential measures. These measures include acquiring essential information such as the local cadre-specific vacancy statistics, roster points, and requisite qualifications from the concerned Secretary and the Director of School Education Department, Telangana, Hyderabad.
Timely Notification and Recruitment Schedule
Efficiency being the cornerstone, the Departmental Selection Committee will expedite the issuance of Notifications and Schedules for the recruitment drive. This expedited timeline underscores the Government’s commitment to timely appointments within the education sector.
Synergistic Data Dissemination
Both the Secretary to Government, School Education Department, and the Director of School Education will collaborate in furnishing vital details pertaining to the vacant positions endorsed by this decree. These details encompass localized cadre distribution, roster points, and stipulated qualifications. This collaborative effort will be shared with the Departmental Selection Committee, with due intimation to the Finance Department, ensuring a synchronized approach.
Adapting Regulations for Alignment
The text is interrupted by calculated crystals:
┌──
Entry from Alexandria via LeMat-Bulk: crystalline CdAsAu3 at its relaxed geometry (PBE).

Output
The volume comes out at 24.83 Å³/atom. The calculation puts the energy relative to the lowest polymorph listed for this composition at 0.000 eV per formula unit. Its total magnetization is 0.0 μB per formula unit. The space group is Pm-3m (221). Its calculated density is 10.41 Mg/m³. As for the crystal system: cubic. Its formation energy is 0.284 eV/atom.

Cell lengths 4.989, 4.989, 4.989 Å; angles 90.00, 90.00, 90.00 degrees
Sites, in units of the cell vectors:
As (0.000, 0.000, 0.000)
Au (0.000, 0.500, 0.000)
Au (0.000, 0.000, 0.500)
Au (0.500, 0.000, 0.000)
Cd (0.500, 0.500, 0.500)
└──
In alignment with this decree, the administrative department is empowered to make suitable amendments to regulations concerning the recruitment agency, as stated in the special rules. This step ensures that the entire process is cohesive and follows the newly laid-out guidelines.
Institutionalizing the Selection Process
Taking charge of the procedural aspect, the School Education Department will embark on necessary measures to constitute the Departmental Selection Committee. This committee will be instrumental in carrying out the selection process with utmost diligence.
Reaffirmation and Superseding Previous Orders
This official directive supersedes any previous orders that might have been issued in relation to the posts mentioned in the Appendix. For the designated posts, wherein recruitment notifications have not been disseminated thus far, this decree stands as the prevailing guideline.
In sum, the Telangana Government’s strategic intervention to review and revamp the recruitment process for educational personnel reflects their profound commitment to nurturing the state’s education sector. This bold move is poised to invigorate the teaching fraternity and ensure a vibrant and progressive educational landscape.
1. G.O.Ms.No.275, Finance & Planning (FW.SMPC) Department, dated: 14.12.1995.
2. Director of School Education Lr.Rc.No.51/Genl./2022 dated 21.03.2022.
3. School Education Department, Office Note C.No. 20/RC-1/DSC/TRT/2023, dated 04/08/2023. &&& ORDER: Government have reviewed the status of Direct Recruitment vacancies in various categories under the control of Director of School Education, Telangana, Hyderabad.
2. After due examination of the proposals furnished by the School Education Department in this regard, the actual requirement of personnel with reference to the activities and needs of the Department and the overall financial implication, Government hereby accord permission for filling up of five thousand and eighty nine (5,089) vacant teacher posts in various categories under the control of Director of School Education, Telangana, Hyderabad as shown in the Annexure appended to this order by way of Direct Recruitment through Departmental Selection Committee.
3. The School Education Department shall issue specific orders on the composition of the Departmental Selection Committee, the selection procedure and the other issues relating to the recruitment process, with the approval of the competent authority.
4. The Departmental Selection Committee, shall take the necessary steps for direct recruitment to the vacant posts permitted to be filled up in this order, by obtaining the requisite details, such as local cadre-wise vacancy position, roster points, qualifications, etc., from the concerned Secretary and the Director of School Education Department, Telangana, Hyderabad.